Chapter: Venous malformations
Article: 2 of 13
Update: Mar 25, 2021
Author(s): Barbera, Letterio Christian
Clinical characteristics of simple venous malformations are:
Here the page breaks off for materials data:
Entry from Alexandria: a relaxed structure of Be2SbBr (PBE).

Results
- density of states at the Fermi level (states/eV/atom) = 0.42
- formation energy (no corrections) (eV/f.u.) = 3.4

Cell: 4.699 4.699 4.699 Å, 60.00 60.00 60.00°
Positions (direct):
Be1 0.250 0.250 0.250
Be2 0.750 0.750 0.750
Sb1 0.000 0.000 0.000
Br1 0.500 0.500 0.500
These irregular vascular spaces are filled with blood. Coagulation processes occur within these venous vascular spaces because of stagnant blood with only very slow flow. Therefore thrombi or their calcified residuals (phleboliths) are often visible within a venous malformation.
The sporadic, i.e., non-familial, venous malformation is the most frequent congenital vascular malformation with an incidence of 1–2 in 10,000 and a prevalence of about 1%.
Variable expression: Localization, size, depth and morphology of a venous malformation vary considerably. Each patient shows a very individual pattern, whereby any body area (face, trunk and extremities) and, more rarely, internal organs may be affected. Venous malformations are more commonly localized to the extremities and head and neck region (about 40% each) than the trunk (remaining 20%). A venous malformation is usually limited to one side of the body or one quadrant of the body (e.g. buttocks, leg and foot on one side), although exceptions can occur. The body volume affected by the venous malformation may be limited to a distal phalanx, or can extend to one half of the body. The same is true for the extension in depth: limited to the skin and subcutis only, or possibly involving muscle, bone and joint surfaces. The morphology of a venous malformation can be described as an irregular network of shapeless, spongy or tubular blood-filled vascular conglomerates, which also vary among themselves.
Absence of a regular vessel wall: Venous malformations are not fully matured vessels, thus they do not form a regular wall structure. The wall is usually wafer-thin and valve-less as a result of the malformation. A venous malformation does not look like a vein, but resembles a fox’s den with irregularly distributed blood cisterns of different sizes. Venous malformations are therefore additional, redundant vessels without a transport function, in which the blood accumulates. The consistency of the wall is reminiscent of a spider’s web and ruptures very easily when grasped with tweezers or after puncture.
Increase in volume: Venous malformations change their appearance both during adolescence and in the later stages of life. The reason for this is the immature wall, which increasingly gives way to blood pressure and thus leads to an increase in volume. Thus the total increase in volume is only partly based on cell proliferation and mostly on increased swelling of the blood-filled irregular vascular spaces. The greater the initial volume of a venous malformation, the earlier it appears clinically. On the other hand, smaller venous malformations may only become visible with age. This evolution must be understood and taken into account in the treatment plan.
Combination with capillary and lymphatic vascular malformations: Combined malformations such as CVM and LVM occur more frequently in the extremities. CVMs are more conspicuous and worry parents most because they are easily visible. The red capillary component often fades with growth and usually does not require therapy. However, LVM is clinically more relevant and more difficult to treat.
Association with growth disturbances: Occasionally there is an accompanying partial overgrowth or undergrowth when a limb is affected by a venous malformation. A causal connection in terms of the vascular anomaly influencing tissue growth was previously suspected, but clinical experience and the same genetic mosaics in soft tissue and accompanying vascular malformation did not confirm this. Today, it is assumed that the soft tissue proliferation or diminished growth is directly related etiologically to the malformation of the vessels (combined malformation). These growth disturbances can be accompanied by severe functional limitations. Although the initial difference in length and circumference that occurred in childhood may diminish somewhat with further growth, the treatment plan must take these changes into account.